This is a post about religious people, religion, atheism, and agnosticism.
It is not meant to offend anyone even though it most likely will.
There was an episode on TV recently that was discussing “Atheism” that I happened to catch by chance, despite the fact that I almost never watch TV. You can see the episode on this link but if you are more or less familiar with the very basic arguments for and against Atheism, it is not worth watching much as it doesn’t go into any depth beyond the first arguments level. The guest invited to argue on behalf of atheism was in fact agnostic but no one seemed to know or care about the difference. More importantly, his constant replies of “I don’t know” were in fact misinterpreted by most of the other guests (and I’m sure also by most of the watching public) as signs of weakness and lack of deep thinking, rather than the meaning which he was trying to convey. He was in the non-enviable position of “damned if you do and damned if you don’t” but his choice to resort to short “I don’t know” answers led mostly to the two religious men present (one Christian and one Moslem) to end up almost talking down to him and trying to “save his soul” while he respectfully listened…Even his respectful listening was misinterpreted as strength from their side and weakness from his, rather than as evidence of an educated, thoughtful, polite man who was trying to play by the rules of a polite debate…I was reminded of this quote:
“The fundamental cause of the trouble is that in the modern world the stupid are cocksure while the intelligent are full of doubt.”
Anyway, as I said, not really worth watching, but still commendable for approaching a topic that in general people are not comfortable tackling publicly in the Middle East.
Watching the episode while reading the live tweets that were using its hashtag made it clear to me that most people do not understand concepts that some might consider as a given, clear, or common sense. Here are some takeaways from watching this debate and reading the tweets:
- The arguments of most religious people are based on “truths” that come from their own religion. They use “facts” and givens that they believe in as the basis of an argument in which they are trying to convince the non-believer. It is as if I tell my nephew, “This light bulb in your room is the source of all light in your entire apartment.” He believes me (and that is his right), and I become his holy man. But then his sister does not. She tells him, “My room is lit by my own bulb, not by yours. The living room is also lit by its own lights, not by the one in your room. Most importantly, the entire apartment and what is beyond it is lit by the sun, but we cannot see the sun because we are inside the apartment.” Her brother then replies, “But you are wrong, and you are wrong because this is what Uncle said and I believe him. Don’t you see how wrong you are?” I’m not sure this is the best example to demonstrate, but the point is most religious people believe (the vast majority not by choice but by chance) what their religion and holy books say and then seem to embrace it as universal truth even when they are arguing with someone from outside that whole belief system. “How can you not see this? God Almighty has said it in the Holy Qura’an (or Bible), are you saying God is wrong?” euuuhhh…but I do not believe in your version of God that you chose to believe in, and therefore you cannot have a valid neutral debate using arguments derived from your own belief system. This bit of seemingly straightforward common sense seems completely lost on most who argue in the name of their religion.
Materials data, kept here for reference
~~~
# 1
Compound: AgBH8C4N8F4
Source: the Materials Project
Functional: PBE
Structure: relaxed

## Properties
- ΔE_f: -720 meV/atom
- V: 11.52 Å³/atom

Lattice parameters (Å, degrees): 5.5715 9.7056 11.4149 90.46 102.59 95.66
Fractional coordinates of all 52 atoms:
N 0.7540 0.6000 0.4273
N 0.2460 0.4000 0.5727
N 0.8341 0.2727 0.5632
N 0.3723 0.8824 0.8363
N 0.6277 0.1176 0.1637
N 0.1427 0.0767 0.3903
N 0.3626 0.9231 0.1687
N 0.1659 0.7273 0.4368
N 0.4049 0.4621 0.3287
N 0.6374 0.0769 0.8313
N 0.2696 0.0502 0.6890
N 0.7304 0.9498 0.3110
N 0.5951 0.5379 0.6713
N 0.3080 0.4584 0.7794
N 0.6920 0.5416 0.2206
N 0.8573 0.9233 0.6097
F 0.8814 0.8519 0.9931
F 0.9803 0.6783 0.8758
F 0.0197 0.3217 0.1242
F 0.0505 0.6606 0.0843
F 0.6511 0.6384 0.9680
F 0.1186 0.1481 0.0069
F 0.9495 0.3394 0.9157
F 0.3489 0.3616 0.0320
B 0.1066 0.2939 0.0191
B 0.8934 0.7061 0.9809
C 0.9697 0.6655 0.4282
C 0.0303 0.3345 0.5718
C 0.0550 0.9811 0.6489
C 0.9450 0.0189 0.3511
C 0.6192 0.5351 0.3246
C 0.4232 0.0021 0.7849
C 0.5768 0.9979 0.2151
C 0.3808 0.4649 0.6754
H 0.8425 0.6043 0.2101
H 0.4186 0.5046 0.8552
H 0.7034 0.5845 0.7476
H 0.7591 0.0389 0.8998
H 0.2409 0.9611 0.1002
H 0.3509 0.4478 0.4083
H 0.6491 0.5522 0.5917
H 0.5049 0.1491 0.0920
H 0.1575 0.3957 0.7899
H 0.5814 0.4954 0.1448
H 0.6894 0.1674 0.7959
H 0.3106 0.8326 0.2041
H 0.4951 0.8509 0.9080
H 0.2060 0.8249 0.8119
H 0.2966 0.4155 0.2524
H 0.7940 0.1751 0.1881
Ag 0.4742 0.1650 0.5088
Ag 0.5258 0.8350 0.4912


# 2
Compound: AgBTe4CO5F20
Source: the Materials Project
Functional: PBE
Structure: relaxed

## Properties
- ΔE_f: -2161 meV/atom
- V: 16.52 Å³/atom

Lattice parameters (Å, degrees): 16.6294 10.2400 14.7891 57.11 90.00 90.00
Fractional coordinates of all 128 atoms:
F 0.0723 0.5559 0.9553
F 0.2379 0.0432 0.0079
F 0.9277 0.4441 0.0447
F 0.0908 0.9493 0.0640
F 0.8872 0.4597 0.2127
F 0.9599 0.2128 0.2406
F 0.3839 0.2250 0.3944
F 0.0544 0.1909 0.0715
F 0.6194 0.3568 0.2223
F 0.3872 0.5403 0.2873
F 0.6211 0.8818 0.9063
F 0.0535 0.3648 0.3501
F 0.9379 0.4251 0.8551
F 0.9144 0.5843 0.3374
F 0.5621 0.4251 0.3551
F 0.1531 0.8223 0.8689
F 0.8104 0.1951 0.2977
F 0.7168 0.3991 0.3493
F 0.0856 0.4157 0.6626
F 0.2621 0.0432 0.5079
F 0.8839 0.7750 0.1056
F 0.3806 0.6432 0.7777
F 0.3104 0.8049 0.2023
F 0.7621 0.9568 0.9921
F 0.3255 0.0085 0.6858
F 0.6943 0.8088 0.7787
F 0.4583 0.1247 0.2446
F 0.5535 0.6352 0.1499
F 0.8469 0.1777 0.1311
F 0.5544 0.8091 0.4285
F 0.6745 0.9915 0.3142
F 0.5105 0.6687 0.9535
F 0.4379 0.5749 0.6449
F 0.6128 0.4597 0.7127
F 0.1194 0.6432 0.2777
F 0.0105 0.3313 0.5465
F 0.9583 0.8753 0.2554
F 0.8255 0.9915 0.8142
F 0.2832 0.6009 0.6507
F 0.1211 0.1182 0.5937
F 0.8806 0.3568 0.7223
F 0.0621 0.5749 0.1449
F 0.8057 0.8088 0.2787
F 0.8482 0.6746 0.7736
F 0.1518 0.3254 0.2264
F 0.0401 0.7872 0.7594
F 0.3469 0.8223 0.3689
F 0.4465 0.3648 0.8501
F 0.4599 0.7872 0.2594
F 0.1161 0.2250 0.8944
F 0.3057 0.1912 0.2213
F 0.3482 0.3254 0.7264
F 0.4277 0.5559 0.4553
F 0.6518 0.6746 0.2736
F 0.5417 0.8753 0.7554
~~~
- One cannot deny the strong rational arguments that atheists have against the existence of God. But as mentioned above, once cannot really hear these arguments if one is firmly entrenched in his or her chosen religious constructs. The most amusing are those who say “Don’t talk to me about these things, I don’t want them to shake my beliefs!” This deserves a whole separate post.
- Clearly there is a widespread lack of understanding of the difference between Atheism and Agnosticism. (I will not insult the intelligence of anyone reading this post by trying to explain the difference here, but I have included links to Wikipedia definitions). Everyone who does not believe in the standard Abrahamic God is lumped into the same box, whether a believer of any other non-monotheistic religion, an atheist, or an agnostic (to mention only 3 big categories). Again, this derives from this fake self-righteousness that any religion seems to bestow on most of its followers.
- Another point that seems to be missed by most people is the difference between being religious and being spiritual- which is ironic as most of those who claim to be religious rarely move beyond the rituals of their religion to any deeper spiritual meaning, or even to the basics of ethical behaviors that being religious is supposed to promote. It is a sad truth that the primary driver for many to practice religion is fear or insecurity rather than a desire to elevate the spirit and become a better human being. Moreover, they fail to understand that one can be completely non-religious, and yet feel a very deep sense of spirituality and a connection to something much bigger than the self, without needing to cloak that “bigger thing” or creative force or whatever you want to call it in a religious form or anchor it in some mythical story.
- Finally, most religious people fail to understand that the power of belief comes from the act of believing itself rather than from the thing that is believed in. You can give the deity you believe in any mental form or physical representation that makes you comfortable; it can be God, a cross, an icon, a prophet, a holy person, or a multi-handed green goddess…the power comes from the actual energy of the belief, not in what or who the belief is directed towards. It is the power of your belief that makes you able to potentially alter energy and even reality (and say that your prayers have been answered) and it is irrelevant what is the form or name of that to which you direct this strong energy. Most religious people fail to see this nuance, but once they realize this tricky truth, they might find it much easier to rise above the shapes, forms and rituals of religion, and embrace a more agnostic approach to religion and spirituality that is much more comforting, much less conflicted, and much more elevating.
Thank you for reading this far; I realize this post might offend some people and that some might think of it as too harsh on people who practice religion. Of course I completely recognize that some religious people are also spiritual and very accepting of other practices, but they remain a minority. In addition, I cannot but maintain that those who achieve true spirituality cannot continue to entrench themselves too deeply in any one religion. They by default will start rising above myths and rituals and recognize that at the core, all paths lead to the same place, provided one actually walks on a path while deeply accepting that the path next to it is equally valid, and that they can lightly hop on and off any path at any time without any consequence. The important thing is to keep moving.
Very interesting!
When I travel to Asia or middle east.
I don’t even bother telling people I have never practised a religion.
Nor can I tell them this…….
My father who was born and raised a Hindu. Stricter still a Brahmin. My mother a religious Coptic Orthodox.
My father would not allow any religion pushed down our throats which of course horrified my mother.
He said beleive don’t beleive is your choice but after you are adults and can choose for your self.
Only thing he told us never ever disrespect those who beleive and those who don’t beleive.
If you want to debate learn about all of them first.
I am not good at lying soooo
Someone pasted records of crystals at this point:
Version i
DFT (PBE) results for a relaxed structure of Li2TiTe3O12.

Space-group type: P2 (3)
Volume: 12.213 Å³/atom

```
Li2TiTe3O12
1.0
-2.566 4.192 6.960
-5.307 -4.613 0.822
4.043 -4.428 4.157
O Ti Te Li
24 2 6 4
Direct
0.256 0.451 0.683
0.259 0.947 0.191
0.756 0.702 0.945
0.585 0.984 0.190
0.085 0.810 0.515
0.259 0.053 0.809
0.754 0.196 0.445
0.072 0.294 0.013
0.580 0.487 0.692
0.430 0.733 0.938
0.935 0.453 0.746
0.085 0.190 0.485
0.754 0.804 0.555
0.580 0.513 0.308
0.431 0.229 0.443
0.933 0.056 0.753
0.933 0.944 0.247
0.585 0.016 0.810
0.256 0.549 0.317
0.756 0.298 0.055
0.430 0.267 0.062
0.072 0.706 0.987
0.431 0.771 0.557
0.935 0.547 0.254
0.099 0.740 0.253
0.099 0.260 0.747
0.918 0.500 0.000
0.409 0.000 0.000
0.917 0.000 0.500
0.412 0.500 0.500
0.604 0.249 0.250
0.604 0.751 0.750
0.177 0.266 0.243
0.299 0.000 0.500
0.850 0.000 0.000
0.177 0.734 0.757
```

Version ii
DFT (PBE) results for a relaxed structure of Li2TiTe3O12.

Space-group type: P2 (3)
Piezoelectric modulus e_max: 0.6 C/m2
Volume: 12.277 Å³/atom

```
Li2TiTe3O12
1.0
-3.280 -2.467 7.381
3.794 -3.225 0.608
2.799 3.649 2.463
Ti O Te Li
1 12 3 2
Direct
0.907 0.000 0.000
0.569 0.293 0.328
0.243 0.248 0.358
0.569 0.707 0.672
0.067 0.804 0.191
0.909 0.202 0.328
0.067 0.196 0.809
0.741 0.741 0.139
0.419 0.704 0.182
0.243 0.752 0.642
0.909 0.798 0.672
0.741 0.259 0.861
0.419 0.296 0.818
0.390 0.500 0.500
0.589 0.500 0.000
0.080 0.000 0.500
0.697 0.000 0.500
0.817 0.500 0.500
```

Relative energies in kJ/mol of atoms: version i 0.0; version ii 1.4


A plane-wave DFT calculation with GGA-PBE was carried out for an optimized crystal structure of Pm2AlIn.

Cell and atoms, written as POSCAR:
```
Pm2AlIn
1.0
0.000 3.851 3.851
3.851 0.000 3.851
3.851 3.851 0.000
Pm Al In
2 1 1
Cartesian
1.926 1.926 1.926
5.777 5.777 5.777
3.851 3.851 3.851
0.000 0.000 0.000
```

Results
SG = Fm-3m


A plane-wave DFT calculation with GGA-PBE was carried out for an optimized crystal structure of AlInS3.

Cell and atoms, written as POSCAR:
```
AlInS3
1.0
3.417 -5.918 0.000
3.417 5.918 0.000
0.000 0.000 18.089
In Al S
6 6 18
Cartesian
2.308 3.954 8.296
5.687 1.942 2.266
2.255 0.022 14.326
4.578 -0.022 5.281
1.147 -1.942 11.311
4.525 -3.954 17.341
4.459 -3.962 5.795
5.661 1.880 8.810
2.375 3.962 14.840
4.619 -0.076 11.825
2.215 0.076 2.781
1.173 -1.880 17.855
5.820 1.731 11.104
2.421 3.735 5.602
4.438 0.191 7.963
2.389 0.229 11.632
1.393 -1.954 8.617
4.445 -0.229 2.587
4.413 -3.735 14.647
2.395 -0.191 17.007
2.424 4.174 17.133
5.441 1.954 17.661
2.006 0.012 5.074
4.827 -0.012 14.118
4.409 -4.174 8.089
1.363 1.979 1.933
2.384 -3.748 4.948
4.449 3.748 13.992
1.014 -1.731 2.059
5.471 -1.979 10.977
```

Results
SG = P6_1
Maximum piezoelectric response = 0.14 C/m²
Energy with MP2020 corrections = -147.0 eV/cell


A plane-wave DFT calculation with GGA-PBE was carried out for an optimized crystal structure of AlInSb2.

Cell and atoms, written as POSCAR:
```
AlInSb2
1.0
-1.175 4.392 -0.177
-4.173 -1.172 -1.386
What do I say….
In Asia I till people I am Hindu
In the middle east especially Eygpt
____________
## Na8Cu2O7 (PBE)

Data for a geometry-optimized Na8Cu2O7 structure.

Computed properties:
Formation energy from the elements   -2207 kJ/mol of formula units
Energy with MP2020 corrections   -4.4878 eV/atom
DFT total energy   -285.9 eV/cell
Total magnetic moment   3.998 μB per formula unit
SG   No. 14

Unit cell a=8.6577 b=11.0746 c=10.0084 alpha=90.00 beta=106.16 gamma=90.00
Element x y z (fractional)
1 Na 0.0076 0.2323 0.3748
2 Na 0.0076 0.2677 0.8748
3 Na 0.0696 0.5248 0.6422
4 Na 0.0696 0.9752 0.1422
5 Na 0.1603 0.0040 0.4844
6 Na 0.1603 0.4960 0.9844
7 Na 0.2114 0.7494 0.4297
8 Na 0.2114 0.7506 0.9297
9 Na 0.2409 0.0518 0.7854
10 Na 0.2409 0.4482 0.2854
11 Na 0.3792 0.5222 0.5792
12 Na 0.3792 0.9778 0.0792
13 Na 0.3907 0.2406 0.4660
14 Na 0.3907 0.2594 0.9660
15 Na 0.4199 0.5399 0.8539
16 Na 0.4199 0.9601 0.3539
17 Na 0.5801 0.0399 0.6461
18 Na 0.5801 0.4601 0.1461
19 Na 0.6093 0.7406 0.0340
20 Na 0.6093 0.7594 0.5340
21 Na 0.6208 0.0222 0.9208
22 Na 0.6208 0.4778 0.4208
23 Na 0.7591 0.5518 0.7146
24 Na 0.7591 0.9482 0.2146
25 Na 0.7886 0.2494 0.0703
26 Na 0.7886 0.2506 0.5703
27 Na 0.8397 0.5040 0.0156
28 Na 0.8397 0.9960 0.5156
29 Na 0.9304 0.0248 0.8578
30 Na 0.9304 0.4752 0.3578
31 Na 0.9924 0.7323 0.1252
32 Na 0.9924 0.7677 0.6252
33 Cu 0.1902 0.2187 0.1532
34 Cu 0.1902 0.2813 0.6532
35 Cu 0.4072 0.7013 0.2259
36 Cu 0.4072 0.7987 0.7259
37 Cu 0.5928 0.2013 0.2741
38 Cu 0.5928 0.2987 0.7741
39 Cu 0.8098 0.7187 0.3468
40 Cu 0.8098 0.7813 0.8468
41 O 0.0422 0.1448 0.6053
42 O 0.0422 0.3552 0.1053
43 O 0.1677 0.1101 0.9946
44 O 0.1677 0.3899 0.4946
45 O 0.1883 0.1122 0.3015
46 O 0.1883 0.3878 0.8015
47 O 0.2477 0.6769 0.6803
48 O 0.2477 0.8231 0.1803
49 O 0.3906 0.6108 0.0644
50 O 0.3906 0.8892 0.5644
51 O 0.3966 0.1936 0.7102
52 O 0.3966 0.3064 0.2102
53 O 0.3995 0.6103 0.3809
54 O 0.3995 0.8897 0.8809
55 O 0.6005 0.1103 0.1191
56 O 0.6005 0.3897 0.6191
57 O 0.6034 0.6936 0.7898
58 O 0.6034 0.8064 0.2898
59 O 0.6094 0.1108 0.4356
60 O 0.6094 0.3892 0.9356
61 O 0.7523 0.1769 0.8197
62 O 0.7523 0.3231 0.3197
63 O 0.8117 0.6122 0.1985
64 O 0.8117 0.8878 0.6985
65 O 0.8323 0.6101 0.5054
66 O 0.8323 0.8899 0.0054
67 O 0.9578 0.6448 0.8947
68 O 0.9578 0.8552 0.3947

---

## Na6CuO4 (PBE)

Data for a geometry-optimized Na6CuO4 structure.

Computed properties:
Formation energy from the elements   -1424 kJ/mol of formula units
Energy above the lowest structure with this stoichiometry   0 meV per atom
Energy with MP2020 corrections   -4.2345 eV/atom
DFT total energy   -87.7 eV/cell
Total magnetic moment   1.001 μB per formula unit
SG   No. 9

Unit cell a=7.6957 b=7.6957 c=5.8550 alpha=90.97 beta=90.97 gamma=120.41
Element x y z (fractional)
1 Na 0.0366 0.5731 0.5011
2 Na 0.0369 0.9631 0.5000
3 Na 0.2191 0.3607 0.6675
4 Na 0.3601 0.6433 0.1669
5 Na 0.3607 0.2191 0.1675
6 Na 0.4272 0.9637 0.5073
7 Na 0.5731 0.0366 0.0011
8 Na 0.6433 0.3601 0.6669
9 Na 0.6432 0.7852 0.6662
10 Na 0.7852 0.6432 0.1662
11 Na 0.9631 0.0369 0.0000
____________
I tell them I am orthodox
( All thanks to my parents)
To thise open minded and intelligent enough to understand we can choose.
An atheasist.